Renewable energy can power Nunavut’s future: Report

In the ZoneArcticNarwhals

IQALUIT, NU, Sept. 19, 2019 — In light of next week’s UN climate summit and IPCC Special Report on the Ocean and Cryosphere in a Changing Climate — not to mention the global climate strikes — transitioning to habitat-friendly renewable energy is more vital than ever. And it is possible, including in Nunavut which is currently almost 100 per cent diesel-powered.

new study commissioned by WWF-Canada in partnership with ITP Renewables — a global expert in renewable energy strategy and analytics — looks at how alleviating the territory’s diesel dependency could be both environmentally responsible and fiscally feasible.

The report — with summaries available in English and Inuktitut — lays out scenarios for all 25 communities in Nunavut, showcasing the best types of renewable projects per area as well as different ratios of renewable-to-diesel generation.

For example, with 3,000 people and an appetite for diesel topping 10.5 million litres annually, Rankin Inlet is ripe for a renewable project today. By implementing a single 2.3-megawatt wind turbine and battery back-up, half of the diesel produced for electricity in this community could be displaced.

WWF-Canada continues to support the transition to habitat-friendly renewable energy in Nunavut by working in partnership with communities to develop energy cooperatives, offer training and educational opportunities, and provide energy expertise.

Dr. Martha Lenio, WWF-Canada’s senior specialist on Arctic renewables, says:
“Factors like diverting unused electricity into heating, lower battery costs and better financing options make a significant difference in how we measure the feasibility of renewable projects. In fact, most communities are not far off from a financial case — even with oil prices very low. The challenge of transporting fuel by ship and the environmental benefits of reducing fuel consumption and carbon emissions make these projects even more appealing.”

These records of molecules were left in the text by mistake
┌──
DFT (ωB97M-V/def2-TZVPD) results for C5H10N2 as an isolated structure at a distorted geometry.

Cartesian coordinates (Å):
C  -2.0851  -0.0523  -0.1267
C  -0.9732  -0.2704  -1.0851
N  -0.2217  0.9206  -1.3379
C  0.3344  -0.8160  -0.7818
C  1.2342  -0.7009  0.3905
C  1.9923  0.5701  0.5477
N  0.9673  0.1856  1.5120
H  -2.2172  1.0085  -0.4572
H  -1.7801  -0.1096  0.9243
H  -2.9398  -0.7148  -0.2950
H  -1.2994  -0.6421  -2.0550
H  -0.2101  1.4693  -0.4551
H  0.6242  -1.6722  -1.4124
H  1.7650  -1.6185  0.6581
H  3.0088  0.5572  0.9243
H  1.7711  1.3254  -0.2026
H  0.0955  0.6822  1.3553

Forces on the atoms, in the same order (eV/Å):
-0.3495 0.7224 -0.0449
-0.5179 -0.4634 0.0572
1.7405 -1.3411 -0.2405
0.2124 0.6389 -0.2526
-0.0616 0.0496 -0.0791
0.3697 0.1124 0.0150
-0.2604 0.1448 0.1992
-1.3764 -0.6174 0.9976
-0.0920 0.0936 -0.2328
0.0087 0.3884 0.0762
-0.2707 -0.2781 0.1021
0.2133 -0.5754 -0.4194
0.4240 1.0965 -0.4606
-0.3096 0.1574 -0.1161
-0.0758 -0.0406 0.0781
0.1635 -0.1604 0.2377
0.1818 0.0724 0.0826

Orbital gap: 9.456 eV
Multiplicity: 1
Relative energy (zero: lowest compared OMol25 entry of this formula, charge and spin): 98.38 kcal/mol

***

DFT (ωB97M-V/def2-TZVPD) results for a 2-piece molecular cluster, C4H11NO3 overall at a distorted geometry.

Cartesian coordinates (Å):
C  -2.0072  1.7750  -0.2411
C  -1.4015  0.5019  -0.7858
N  -0.2059  0.0104  -0.2673
C  0.5776  0.8225  0.6145
C  2.0045  0.4973  0.4738
O  2.3435  -0.3461  1.4647
O  -1.8941  0.0023  -1.7584
H  -1.8619  1.9900  0.8634
H  -1.8458  2.6330  -0.8711
H  -3.0719  1.6305  -0.3424
H  0.1180  -0.8463  -0.5704
H  0.5392  1.8984  0.4193
H  0.2836  0.7248  1.6165
H  2.6230  1.4996  0.6554
H  2.4233  0.2655  -0.5043
H  2.6616  -1.2501  1.0333
H  -0.3792  -2.6147  -0.5834
H  -0.2416  -2.5708  0.9817
O  0.1947  -2.7828  0.1443

Forces on the atoms, in the same order (eV/Å):
-0.6310 -0.2458 1.9959
2.0187 0.3426 0.1872
-2.9837 3.4646 0.5150
0.0928 1.0776 -1.7345
2.5694 4.1186 -0.1183
2.4140 -5.6976 0.1997
-0.9474 -1.1506 -1.0039
0.2868 -0.1180 -1.4277
0.7149 0.3061 -0.1132
-0.4423 -0.2394 -0.0302
0.8694 -1.6022 -0.7114
-0.7704 -0.1565 -0.5670
-0.1812 -0.3252 1.6362
-1.1868 -1.5418 -0.0795
-0.7553 -0.5543 -0.3368
-1.0310 2.7892 1.6602
-1.1154 -0.0190 -0.5170
-0.1613 0.0338 -0.5656
1.2398 -0.4818 1.0109

Orbital gap: 10.091 eV
Multiplicity: 1
Relative energy (zero: lowest compared OMol25 entry of this formula, charge and spin): 50.45 kcal/mol

***

Number 1: HOMO energy -8.727 eV, total energy -8323.06685 eV. Number 2: HOMO energy -9.453 eV, total energy -11957.92200 eV.

* * * * *

--- A ---
Molecular formula: C9H14
Method: DFT, the ωB97M-V functional and the def2-TZVPD basis

Geometry as XYZ:
```
23
Properties=species:S:1:pos:R:3
C 0.45 1.68 -2.01
C -0.29 1.20 -0.80
C 0.37 1.09 0.44
C -0.26 0.79 1.65
C -1.50 0.16 1.58
C -2.16 0.21 0.36
C -1.59 0.68 -0.80
H 0.87 0.85 -2.59
H 1.30 2.28 -1.72
H -0.19 2.28 -2.66
H 1.41 1.39 0.51
H 0.30 0.81 2.57
H -1.96 -0.27 2.45
H -3.18 -0.15 0.30
└──

Paul Okalik, WWF-Canada’s senior advisor, Arctic conservation, says:
“The move towards habitat-friendly renewable energy and energy efficiency projects in Nunavut will result in a boost to green industry jobs in the territory. WWF-Canada is focused on providing green energy education and training programs for Nunavummiut so they can be energy transition leaders in their own communities.”

Key findings:
– Nearly half of the communities in Nunavut will become more attractive for renewable project development should low-interest access to capital be made available
– The most cost-effective carbon offset case was Iqaluit, where for every $1,000 invested in a 20 per cent renewable contribution, 2.1 tons per year of CO2 emissions could be abated;
– Rankin Inlet, Iqaluit, Baker Lake, Chesterfield Inlet, Coral Harbour and Sanikiluaq were identified as the best locations for further study on renewable energy development

For more information on the benefits of habitat-friendly renewable energy, read Martha’s Q&A on our blog.

About World Wildlife Fund Canada
WWF-Canada creates solutions to the environmental challenges that matter most for Canadians. We work in places that are unique and ecologically important, so that nature, wildlife and people thrive together. Because we are all wildlife. For more information, visit

For further information, contact:
Joy D’Souza, senior communications specialist,